Required Reading on Writing: Part 2

I’m planning to take the comprehensive exams for my graduate-school program this coming November. I figured four months would give me a proper head start in terms of required reading — there are 40 creative-nonfiction books on the official reading list. I don’t have to read them all, but I could at least cross some off the list. And apparently, that list will still change depending on what I plan to do for my thesis. We’re not even talking about old class notes, syllabi and reference books yet; just that list.

Keeping those factors in mind, I read these two books first. As far as I know, both are out of print, and unavailable in most Philippine book stores, so thanks, school library!

Two newspaper-column collections, courtesy of Carmen Guerrero Nakpil (1940s-1960s) and Butch Dalisay (early 1990s).

When I was a kid, I ignored the newspapers’ front pages and opinion columns, and went straight to the humor, lifestyle, travel and sports sections. I began focusing on opinion columns only in the last few years — a real shame, but better late than never, as I like to say.

I like reading these columns, even if I don’t always agree with what they contain. Unlike in other literary genres, where you can cover up your real sentiments or couch them into more socially “acceptable” forms, opinion columns (and creative nonfiction, for the most part) will put you out there, with an accompanying photo and byline for good measure. You can say things in the nicest way possible, but you can still be misinterpreted. There’s no hiding here: you better be ready to stand by everything you say, and how you say it.

Two newspaper-column collections – The Best of Barfly from Jose “Butch” Dalisay, Jr., and Woman Enough and Other Essays from the late Carmen Guerrero Nakpil – show readers how op-eds were done back then, and prove helpful for these trying modern times. Required reading, indeed.

Be ready to go way back.

Data records, as found in the file >
=====
Entry 1:
The following is a quantum chemistry calculation of a 5-piece molecular cluster, C4H21N2O4S2 overall in a non-equilibrium geometry, from OMol25.

Last column: natural (NBO) charge in e.
Atoms and positions in Å:
1 N 1.728 0.925 -1.051  -0.757
2 C 2.463 -0.383 -0.877  -0.283
3 C 1.543 -1.564 -0.967  -0.652
4 S 1.451 -2.377 0.601  0.154
5 S 0.639 -1.298 2.163  0.040
6 C -1.152 -1.735 2.395  -0.501
7 C -2.004 -0.963 1.423  -0.271
8 N -1.846 0.467 1.734  -0.872
9 H 2.538 1.847 -0.818  0.492
10 H 0.909 1.178 -0.502  0.436
11 H 1.323 1.237 -2.041  0.481
12 H 2.864 -0.374 0.260  0.268
13 H 3.505 -0.444 -1.409  0.260
14 H 1.617 -2.047 -1.968  0.299
15 H 0.501 -1.217 -0.960  0.253
16 H -1.351 -1.600 3.400  0.240
17 H -1.138 -2.725 2.184  0.232
18 H -2.098 -0.997 0.321  0.223
19 H -3.155 -1.169 1.566  0.227
20 H -0.848 0.824 1.420  0.347
21 H -1.946 0.731 2.706  0.383
22 H -1.549 -1.310 -2.445  0.463
23 H -1.151 -2.592 -2.214  0.467
24 O -0.828 -1.855 -2.664  -0.920
25 H -2.347 1.392 0.227  0.501
26 H -2.568 2.817 -0.227  0.484
27 O -2.285 1.973 -0.541  -0.998
28 H 1.613 0.863 1.661  0.478
29 H 2.553 1.966 2.141  0.495
30 O 2.386 1.387 1.420  -0.980
31 H -0.745 2.453 -1.569  0.507
32 H -0.486 2.077 -3.062  0.488
33 O -0.135 2.514 -2.307  -0.982

As for the charge: +1. Its spin multiplicity is 1. As for the HOMO-LUMO gap: 9.4 eV. The energy relative to the best compared isomer or geometry (same formula, charge and spin) is 376.9 kJ/mol. The value obtained for the LUMO energy is -3.02 eV. The calculation puts the HOMO energy at -12.448 eV.

Entry 2:
The following is a quantum chemistry calculation of the molecule H5NO2Si in a non-equilibrium geometry, from OMol25.

Last column: natural (NBO) charge in e.
Atoms and positions in Å:
1 N 0.889 -1.024 0.205  -1.359
2 Si -0.316 0.089 0.339  1.962
3 O 0.722 1.901 -0.247  -1.082
4 O -1.519 -0.101 -0.772  -1.069
5 H 0.769 -2.093 0.474  0.424
6 H 1.762 -0.675 0.522  0.419
7 H -1.106 0.414 1.516  -0.239
8 H 0.079 2.358 -0.799  0.459
9 H -1.280 -0.869 -1.237  0.484

Its structure (SMILES) is N[SiH](O)O. Its spin multiplicity is 1. As for the HOMO-LUMO gap: 10.3 eV. The energy relative to the best compared isomer or geometry (same formula, charge and spin) is 205.4 kJ/mol. The value obtained for the LUMO energy is 0.43 eV. The calculation puts the HOMO energy at -9.912 eV.

Entry 3:
The following is a quantum chemistry calculation of the molecule C3H6N2O, from OMol25.

Last column: natural (NBO) charge in e.
Atoms and positions in Å:
1 C -2.206 -0.159 -0.813  -0.430
2 N -0.953 -0.635 -0.285  -0.450
3 C 0.052 0.127 -0.245  0.266
4 N 1.239 -0.375 0.274  -0.622
5 C 2.431 0.279 0.433  0.536
6 O 3.416 -0.235 0.912  -0.571
7 H -2.970 -0.246 -0.032  0.206
8 H -2.189 0.880 -1.179  0.169
9 H -2.513 -0.817 -1.633  0.206
10 H 0.091 1.173 -0.586  0.155
11 H 1.190 -1.338 0.582  0.421
12 H 2.404 1.326 0.079  0.111
=====

The essays in Nakpil’s collection were written from the 1940s to the 1960s. This means most of her references are obviously dated. Not that I’m complaining; I liked reading the essays where she looked back on her own childhood memories (like roaming her old-Malate neighborhood for gifts on Christmas Day). But the demographic that will relate to her essays the most will be the members of the G.I., Silent, and Baby-Boomer generations. So to my fellow Millennials and younger readers, keep your phones and tablets handy so you can check Google whenever needed. Otherwise…


Her writing style will also make you recall the old-school way of writing in the Philippines. Writers back then (Kerima Polotan Tuvera is the first person I think of) tended to use “one” instead of “I”; and to pepper their work with words now considered too deep, intellectual or pretentious, in contrast to today’s simpler, direct, and conversational style.

As for The Best of Barfly, the bulk of Dalisay’s essays were published in the early to mid-1990s, a time that isn’t too far off for most of us. Still, if you weren’t keeping track of current events then, you’d miss out on some references. I didn’t have any problems with the tech callbacks, but there were some people I had to look up. Like this guy. I completely forgot about the Chop-Chop Lady case!

It’s also amusing to note that his writing style then is almost the same as it is now. Read The Best of Barfly, then go through his current Penman archive, and you won’t see much difference in terms of voice. Reading the text, you know it’s him. And his essays about trying to keep his old VW Beetle alive (pendong kotseng kuba!), the process and experience of sending telegrams to his loved ones, his long-running obsession with fountain pens, and two parents suing over a Pinoy beauty pageant in Manhattan are great throwbacks.

“Evergreen” content is best.

Sure, there are long trips down memory lane, but Nakpil and Dalisay are also adept at writing what online-content churners now call evergreen content. Basically, these are topics that are timeless for and relevant to any target readership/market, regardless of era. Obviously this wasn’t what they had in mind when they wrote their columns, but it shows that there are some things that’ll never change. 

Of particular interest to me are the first four essays of Nakpil’s Woman Enough. The arguments and situations Nakpil talked about in the eponymous essay, The Filipino WomanMyth and Reality, and Maria Clara still apply and resonate today, even decades after publication. Women are still perceived and treated differently compared to men, seen as delicate things that need protection from the world but are also wholly secondary to people with penises. Don’t you dare mansplain and tell us otherwise.

Looking at the other essays in the book, our political climate is still the same (with the same family names!), the erasure of Philippine history pre-Ferdinand Magellan is still in place (but with more awareness now, so… it’s an improvement?), and the elite still lord it over the needy.

More than 20 years later, some of Dalisay’s topics are still highly relevant to us. The pain of and processing grief from losing a parent will never change, we’re still pretty much addicted to technology and the feeling of being important or loved (we’ve long abandoned beepers for cellphones, then smartphones), Filipinos still have this strange love of noise, and we still love affixing titles like “sir”, “ma’am”, “Dr.”, “PhD” etc. to our names. National writing workshops are still important here; the padrino system still exists; and people still ask writers how they can become one too, as if there’s only one quick solution to legitimacy and productivity.

If you’re going to drag people, drag them with style.

There is no overemphasizing the value of slaying the targets of your ire in highly creative ways. Out of Nakpil’s essays, “Charity” is the cheekiest and spot-on in her anthology. In this 1951 essay for the shuttered Philippines Free Press, she completely skewers the ultra-rich society ladies who “want” to “help” the needy – but with the fanfare, media and associated print-page allotment, of course. What, they’re going to do all that for nothing? Que horror!

You can bet your sweet ass this still happens in the Philippines today. You can also compare it to so-called altruistic folk who post their good (digital) deeds on social media primarily so they can feel better about themselves.

Woman Enough and Other Essays, Carmen Guerrero Nakpil
Paperback, Ateneo University Press
Buy: Ateneo University Press | Amazon | Barnes & Noble | AbeBooks

The Best of Barfly, Jose Dalisay, Jr.
Paperback, Anvil Publishing
Buy: Contact Anvil Publishing